### Input
Record 1
Entry from OQMD: crystalline UGa at its relaxed geometry (PBE-GGA).

Summary:
- Calculated total energy: -7.090 eV per atom

abc: 10.816 5.412 10.878
angles: 90.00 90.00 90.00
Space group Cmcm (No. 63)
Inequivalent atoms, fractional coordinates:
U (0.000, 0.000, 0.000) x4
U (0.000, 0.002, 0.250) x4
U (0.235, 0.000, 0.000) x8
Ga (0.000, 0.500, 0.126) x8
Ga (0.248, 0.253, 0.750) x8

=====

Record 2
Entry from OQMD: crystalline UGa at its relaxed geometry (PBE-GGA).

Summary:
- Calculated total energy: -7.263 eV per atom

abc: 2.9234 2.9234 5.2439
angles: 90.00 90.00 120.00
Space group P-6m2 (No. 187)
Inequivalent atoms, fractional coordinates:
U (0.0000, 0.0000, 0.0000) x1
Ga (0.3333, 0.6667, 0.5000) x1

=====

Record 3
Entry from OQMD: crystalline UGa at its relaxed geometry (PBE-GGA).

Summary:
- Calculated total energy: -6.529 eV per atom

abc: 5.780 5.780 5.780
angles: 90.00 90.00 90.00
Space group Fm-3m (No. 225)
Inequivalent atoms, fractional coordinates:
U (0.000, 0.000, 0.000) x4
Ga (0.000, 0.000, 0.500) x4

=====

What did the third record say?
Entry from OQMD: crystalline UGa at its relaxed geometry (PBE-GGA).

Summary:
- Calculated total energy: -6.529 eV per atom

abc: 5.780 5.780 5.780
angles: 90.00 90.00 90.00
Space group Fm-3m (No. 225)
Inequivalent atoms, fractional coordinates:
U (0.000, 0.000, 0.000) x4

### To do
Could you count the lines earlier on that contain the word "energy" and give the number alone?

### Worked solution
4